Home » Chapter 7 (1984 part two) – Summary and analysis.

Chapter 7 (1984 part two) – Summary and analysis.

Brief Summary and analysis of Chapter 7 (1984 Part Two)

In this chapter, Winston wakes up after having a nightmare. He remembers his mother and how they he had parted with her and his sister. He had grown up in a world marked by scarcities. After his father had died, his mother had become spiritless and weak. Winston had to scourge around dustbins for food.

He was quite a stubborn kid and his belly was never full. He always wanted his mother to serve him more food than there was in his plate.

Once he had finished his own food, he would steal from his sister’s plate. They lived together in a small and stinky room. However, when the chocolate ration arrived, he wanted all the chocolate for himself and snatched his sister’s share from her hand.

His sister was a two year old kid who had grown too thin due to disease and weakness. His mother would hold her close to her breast despite knowing that it was not going to save the child from death.

After snatching the chocolate from her, Winston ran for the door and kept roaming the streets for sometime, he was ashamed at his behavior but always found it difficult to resist hunger. When he returned, his mother and sister were gone. Winston never saw his mother again but he could never forget her or her purity and nobility.

Winston remembered it all after the nightmare and told it to Julia who was sleeping beside him in the room above Mr. Charrington’s shop. They talk about it and Julia tries to convince Winston that all kids are just like that in their childhood.

In Oceania, the party had persuaded people to believe that emotions and impulses had no meaning. Once people were in the clutches of the party, it did not really matter what they felt or did not feel and what they said or thought.

It was for the first time that Winston remembered the proles with lots of respect. He thought that they led human lives. They were still human inside and had feelings for each other.

Apart from that, they were not hardened on the inside like the party members. Winston asked Julia if she did not think that it was safe for her to leave him and get away from him. However, Julia had decided to keep his company irrespective of the outcome.

Winston thought that they were together for another six months or so and after that once they had fallen in the hands of the thought police, they could never know if the other one was alive or not. He was thinking of the outcomes if they fell in the hands of the thought police.

They could make the two confess and if one confessed, they will shoot the other one. However, Winston was not concerned about confession. He was mainly concerned that they could stop him from loving Julia. She convinced him that it was not possible for the party since they could never get inside you or your heart.

Winston’s love has been blooming over the previous few chapters and Julia understands his emotions and behaves like a good lover. She is inclined to protect herself and Winston from all trouble. She talks authoritatively with Winston not as a lover but as a good wife would. From their conversation in the room, it appears the love between the two is strong and it is growing stronger with time.

When she convinces Winston, he thinks less negatively and Julia provides perfect support, whenever Winston is about to fall in a pit of darkness. He has grown more hopeful and his health has improved overall. Psychologically speaking, his thoughts are now less self defeating.

However, he is constantly thinking of the party and the thought police. Despite being in love with his Julia, a lot of space in his mind and heart are occupied by the party and its thought police. He knows that in the future they will certainly find out about the affair they are having.

He just wants it to push the dates as far as possible. Winston knows they will not be able to save themselves once their affair has been discovered. His worst fear is that the party might force him to stop loving Julia. Orwell shows how the party has corrupted minds and is controlling using various mechanisms.

Detailed Summary and analysis of Chapter 7 (1984 Part Two)

Winston and Julia were again in the room above Mr. Charrington’s shop. They were sleeping and Winston suddenly woke up after having seen a nightmare. His eyes were full of tears. Julia also woke up and asked him softly what had happened. Winston could not describe it in words.

The nightmare itself was complex and a memory associated with it had crept into Winston’s mind after he woke up. Winston was still lying on the bed with his eyes shut and thinking of his life which had stretched before his eyes like a vast landscape.

The dream took place inside the glass paperweight. Its dome was the sky and inside there was so much light that one could see till far into infinity. In his dream Winston saw his mother make a gesture and then the same gesture was made by the Jewish woman he had seen in the film trying to shelter his kid from the bullets, before the mother and the kid were both blown to pieces by the helicopter.

Winston told Julia that until now he believed he had killed his mother. In his dream, Winston had remembered the last glimpse of his mother. Just as he woke up the other related events had flooded his mind. He must have pushed the event out of his mind over the past several years. However, he remembered that he must not have been less than ten or twelve years old when it had happened.

His father had disappeared a little earlier than his mother. However, instead of his parents, he remembered the poor and uneasy circumstances of those times. People were in a state of panic about the regular air raids. Winston remembered how people took shelter inside those tube stations and there were piles of rubble everywhere.

There were proclamations posted on the corners of the streets that Winston could not stand. Gangs of youth roamed around in the streets, all wearing the shirts of the same color. There were large queues of people before the bakeries and intermittent machine gun firing was always heard in the distance. Apart from these things, Winston remembered that there was never enough food to eat.

He remembered how he moved around with boys of his age seeking to find discarded food inside the dustbins. They waited for trucks carrying cattle feed, which would spill a few fragments of oil cake when they jolted. 

While his mother did not demonstrate a violent grief or shock, when Winston’s father disappeared, she had suddenly changed. She had lost her spirit and appeared like waiting for something she clearly knew would happen. She also did all the household work but very slowly and with no energy, which made her appear like a manikin.

She had stopped moving around much and would lay motionless on the bed nursing Winston’s younger sister. His sister was two years old. Her face had started looking like that of a monkey due to thinness. Sometimes she picked Winston up and pressed him against herself for hours. Somehow Winston knew that this was all connected with what was deemed certain to happen that his mother was waiting for. 

Winston remembered the small and stinky room they lived in. It was half filled by a bed and had a small kitchen and shelf in a corner. Outside the room on a landing there was a brown earthenware sink that was common to several rooms.

He remembered how his mother’s statuesque body remained bent over the gas ring and kept stirring something in the saucepan on the fire. He remembered how he was always fiercely hungry and the ugly battles that happened at the mealtime. He would always nag his mother for more food and ask her why there was no more food. Sometimes he would shout and storm at her.

Sometimes he would feebly cry to make the appeal of his voice grow. Winston’s mother was always willing to give him more than his share. However, the more she gave her, the more he asked for. 

At every meal she begged him to not be so selfish and to consider his younger sister’s situation. She had grown so weak and also needed food. However, nothing had any effect on Winston and he would cry with rage when she stopped serving and would try to take away food from his sister’s plate.

He knew he was starving the other two members in his family but he felt like he had a right to do it. His insatiable hunger seemed to justify his actions. If mother was not carefully guarding it all the time, he would be ready to eat from the shelf between meals.

Then chocolate ration was issued one day. This had happened for the first time. It was two ounces of chocolates for three people. Winston knew it needed to be divided among three people. However, he demanded that all the chocolate be given to him. His mother asked him not to be greedy. A lot of nagging and arguments followed.

Winston’s sister was clinging to her mother and looking at Winston with her large mournful eyes. At last, Winston’s mother broke three quarters of the chocolate and gave it to Winston and the remaining to his sister.

While the little girl was watching the chocolate not knowing what to do with it, Winston snatched it from her hands and ran for the door.  His mother screamed from behind him. He stopped but did not come back. Even now Winston’s mind was thinking of the thing that was about to happen.

His sister understood she had been robbed of something and started crying feebly. Winston’s mother hugged her tighter and pressed her face against her breast. By this gesture, Winston had understood that his sister was dying. The chocolate was growing sticky in his hands and so Winston turned and fled downstairs. 

That was the last that Winston had seen his mother. After having consumed the entire chocolate ration, Winston felt ashamed of himself and roamed the streets for some hours till he was so hungry that he could not do anything but had to return home. When he returned his mother and sister were gone.

People’s disappearance had become normal at that  time. Nothing had been taken from their room. His mother had not even taken her overcoat. Even today, Winston was not certain that his mother was dead. She might have been sent to a forced labor camp and his sister to some orphanage like him.

These orphanages were called reclamation centres and had cropped up since the civil war. The girl might have been sent to some labor camp with her mother or left somewhere to die.

Winston could only guess. The dream was still clear in his mind when Winston woke up. Its entire meaning was contained in the single gesture of his mother hugging the girl tight and close to her breast. Winston’s mind moved to the dream he had two months ago in which he saw the same scene in which his mother was sitting in a sinking boat and holding her child.

It looked just like how his mother sat with his sister on the bed. They were sinking deeper and deeper every second but she still kept looking at him from under the darkening water. Winston told Julia the story of his mother’s disappearance. She was also lying in bed.

**What comes next are calculated crystals, not part of the article:**
[1]
Structure and simulated powder diffractogram of Ba6Mn4Co2ClO16 (a DFT-relaxed cell (GGA+U, Alexandria); Cu Kα (λ = 1.5418 Å)).

Cell and atoms:
Unit cell a=14.925 b=5.818 c=5.818 alpha=59.93 beta=90.00 gamma=90.00
Atoms (fractional coordinates):
Ba (0.000, 0.000, 0.000)
Ba (0.149, 0.666, 0.666)
Ba (0.297, 0.002, 0.002)
Ba (0.500, 0.345, 0.345)
Ba (0.703, 0.002, 0.002)
Ba (0.851, 0.666, 0.666)
Mn (0.085, 0.333, 0.333)
Mn (0.258, 0.335, 0.335)
Mn (0.742, 0.335, 0.335)
Mn (0.915, 0.333, 0.333)
Co (0.380, 0.671, 0.671)
Co (0.620, 0.671, 0.671)
Cl (0.500, 0.989, 0.989)
O (0.000, 0.036, 0.482)
O (0.000, 0.482, 0.036)
O (0.000, 0.482, 0.482)
O (0.165, 0.185, 0.628)
O (0.165, 0.186, 0.186)
O (0.165, 0.628, 0.185)
O (0.327, 0.494, 0.494)
O (0.329, 0.015, 0.495)
O (0.329, 0.495, 0.015)
O (0.500, 0.647, 0.647)
O (0.671, 0.015, 0.495)
O (0.671, 0.495, 0.015)
O (0.673, 0.494, 0.494)
O (0.835, 0.185, 0.628)
O (0.835, 0.186, 0.186)
O (0.835, 0.628, 0.185)

The 12 most intense peaks (2θ = 10–90°), sorted by position:
25.16°, 3.540 Å, I = 41.6
29.80°, 2.998 Å, I = 51.0
30.74°, 2.908 Å, I = 100.0
34.94°, 2.568 Å, I = 8.9
40.13°, 2.247 Å, I = 33.0
43.35°, 2.087 Å, I = 22.7
46.24°, 1.964 Å, I = 9.8
51.39°, 1.778 Å, I = 10.7
54.08°, 1.696 Å, I = 17.9
54.66°, 1.679 Å, I = 18.5
64.04°, 1.454 Å, I = 17.0
65.76°, 1.420 Å, I = 7.8



[2]
Structure and simulated powder diffractogram of Ba8Mn6Co2ClO22 (a DFT-relaxed cell (GGA+U, Alexandria); Cu Kα (λ = 1.5418 Å)).

Cell and atoms:
Unit cell a=19.881 b=5.813 c=5.813 alpha=59.99 beta=90.00 gamma=90.00
Atoms (fractional coordinates):
Ba (0.000, 0.000, 0.000)
Ba (0.119, 0.333, 0.333)
Ba (0.236, 0.999, 0.999)
Ba (0.348, 0.328, 0.328)
Ba (0.500, 0.657, 0.657)
Ba (0.652, 0.328, 0.328)
Ba (0.764, 0.999, 0.999)
Ba (0.881, 0.333, 0.333)
Mn (0.063, 0.667, 0.667)
Mn (0.190, 0.666, 0.666)
Mn (0.319, 0.661, 0.661)
Mn (0.681, 0.661, 0.661)
Mn (0.810, 0.666, 0.666)
Mn (0.937, 0.667, 0.667)
Co (0.410, 0.992, 0.992)
Co (0.590, 0.992, 0.992)
Cl (0.500, 0.343, 0.343)
O (0.000, 0.518, 0.518)
O (0.000, 0.518, 0.963)
O (0.000, 0.963, 0.518)
O (0.124, 0.370, 0.815)
O (0.124, 0.815, 0.370)
O (0.125, 0.815, 0.815)
O (0.249, 0.517, 0.517)
O (0.250, 0.518, 0.959)
O (0.250, 0.959, 0.518)
O (0.370, 0.340, 0.819)
O (0.370, 0.819, 0.340)
O (0.375, 0.819, 0.819)
O (0.500, 0.026, 0.026)
O (0.625, 0.819, 0.819)
O (0.630, 0.340, 0.819)
O (0.630, 0.819, 0.340)
O (0.750, 0.518, 0.959)
O (0.750, 0.959, 0.518)
O (0.751, 0.517, 0.517)
O (0.875, 0.815, 0.815)
O (0.876, 0.370, 0.815)
O (0.876, 0.815, 0.370)

The 12 most intense peaks (2θ = 10–90°), sorted by position:
25.18°, 3.537 Å, I = 52.8
28.61°, 3.120 Å, I = 36.1
30.77°, 2.906 Å, I = 100.0
32.35°, 2.768 Å, I = 12.6
40.16°, 2.245 Å, I = 40.2
42.51°, 2.127 Å, I = 15.0
51.43°, 1.777 Å, I = 13.2
51.69°, 1.768 Å, I = 9.3
53.38°, 1.716 Å, I = 11.8
54.70°, 1.678 Å, I = 18.5
64.08°, 1.453 Å, I = 17.4
89.15°, 1.098 Å, I = 9.8



[3]
**The article goes on:**

Julia changed her posture on the bed and without opening her eyes shifted herself into a more comfortable position. She did not appear shocked to hear the story. She just told Winston that  he must have been a real swine in his childhood but then all the children were like that.

Winston wanted to tell her more but she did not look interested. Julia was still feeling sleepy. Winston could never forget his mother. She did not appear a very intelligent lady but still she was noble and pure and that was because she followed her own standards.

Her feelings were her own and were not affected by the changes happening in the outside world. She only believed in giving and was not worried if her affection did not work on Winston. He remembered the last scene when his mother held the child close to her heart even when the chocolate was gone.

When she loved her child, she just loved it and even if there was nothing else left to give to her, she gave her the affection that protected the child.  When Winston had taken away the chocolate from her sister, she still held the child in her arms. She knew it was not going to produce more chocolate or save the thin child from death but still she did it because it felt natural to do so.

He remembered that the refugee woman in the film sitting on the boat had also done the same. She two covered her child with her arms when she knew that it offered no more protection than a thin sheet of paper would against raining bullets.

What the party had done was to persuade people to believe that mere emotions or impulses held no meaning and thus robbed the people of all the control they had over the material world. Once people were in the clutches of the party it did not really matter what they felt or did not feel, what they did and what they refrained from doing.

It all was literally the same and yielded no value. At the end, you vanished and then your name and actions were never heard of again. There was no change in history because you were picked out clean and then you had no existence and therefore no history.

Nothing was affected by your existence or non-existence. Just two generations ago these things would not have appeared important for the people since they were not trying to alter history. They were driven by private loyalties that they did not question.

However, individual relationships mattered then and a helpless gesture or a tear and a word spoken by a dying man could hold significant value. It  suddenly appeared to Winston that the proles led this kind of life. The proles were not loyal to a party, country or idea but only to each other.

It was for the first time in his life that Winston had remembered proles with respect. He was not despising them any more or thinking of them as an inert force that could one day become alive again and regenerate this world. Inside, the proles were still human and had not hardened into something like a rock. Their emotions had not changed.

They still held to those old emotions that had become irrelevant for modern society. He himself had to make conscious efforts to learn those emotions all over again. While thinking of proles, he felt reminded of the bombing incident that happened while he was walking in the prole area.

He remembered the severed hand that he saw lying on the pavement and how he had kicked it into the gutter like it was cabbage stalk. Winston suddenly said aloud that the proles were human beings, others were not. Julia woke up to hear this and asked him why.

He thought for a little while and asked Julia if it had ever occurred to her that the best thing for them was to simply walk out of there and never see each other again.  She replied in the affirmative and told him that yes it had occurred to several times but that she was never going to do it.

However, Winston was worried. He said that they were just being lucky. Julia was young and innocent and if she kept away from people like Winston, she could stay alive for another fifty years. However, Julia had decided that she was going to do what Winston did and that Winston did not need to lose heart.

She was quite skilled at it and had managed to stay alive in worse situations. She was not losing heart and believed that together they had a future, but convincing Winston was next to impossible for her. He was still not convinced. 

Winston thought they were together for another six months or so. At the end they were certainly going to be apart and that there was nothing they could do once they were apart. They were certainly going to be very alone when they had parted.  Once the party and the thought police had got them, there was nothing Winston would be able to do.

If he confessed, they would shoot Julia and if he did not they would still shoot her. So, Winston would have no way of saving her. Whatever he does or says might just put off her death by some five minutes or so.

At last, the two would be rendered powerless and unable to know if the other one is living or dead.  However, the important thing according to Winston was that they did not betray each other even if it did not make the slightest difference. Julia did not have any problem with confessing.

She said it was okay to confess since they were going to torture you just so much anyone would break. Winston did not mean that. Confessions did not really mean betrayal. Instead, if the party could make him stop loving her that would have meant betrayal.  Julia thought over it and said that the party could not do it. Whatever they did, it was not possible for them to get inside you. 

Winston grew a little hopeful. He felt that Julia was true; they could do everything but never get inside them. If one knows how to stay human, and that it is going to be worth it, he has beaten the party. He was thinking of the telescreen and how it could hear people day and night. The telescreen had eyes and ears and it kept its ears open all the time even in the dark.

Even if the party could spy on people day and night, those who were clever could outwit it. The party was cunning and there was no reason to doubt it. However, despite being clever, the party did not have the technology or art that could help it know what any other human being was thinking. Yet, it did not seem as true when one was in their hands since it will stop mattering then if you can think or not.

One never knew what happened inside the Ministry of Love but people could guess. It included things like tortures, drugs, delicate instruments that registered your nervous reactions, gradual wearing-down by sleeplessness and solitude and persistent questioning. Facts, at any rate, could not be kept hidden. The thought people could track your thoughts down through enquiry and bring it out through torture.

However, if your objective instead of staying alive was to stay human, it did not even matter. They could not change your feelings and neither could anyone himself because feelings will remain feelings and you cannot acquire absolute control over them. They could know everything that you said or did and thought of, but then the heart whose inner workings were impossible even for the person himself to know, remained impregnable.